7 minute read
By Melanie Litwin
In recent years, diagnosis and awareness of Attention Deficit Hyperactivity Disorder, or ADHD, have increased—yet many still remain undiagnosed and untreated due to misinformation and inaccessible healthcare and education systems. Those with ADHD must contend with a range of disparities when it comes to managing symptoms and receiving accommodations, including on college campuses.
ADHD is categorized as a neurodevelopmental disorder, with an estimated 5 percent – 7.2 percent of youth and 2.5 percent – 6.7 percent of adults affected. While there is no singular professional consensus, increased diagnoses can be attributed to many factors—including changes to diagnostic criteria and increased awareness of its symptoms, particularly within historically underdiagnosed and marginalized populations, for example those assigned female at birth and people of color. According to a paper published in the Journal of the Missouri State Medical Association, “Between 2004 – 2006, Black students were more likely than their White counterparts to have ADHD symptoms (12% vs. 7% respectively), but were less likely to have received a diagnosis (9% vs. 14% respectively).”
Data records, as found in the file:
=====
The following is a DFT calculation (ωB97M-V with the def2-TZVPD basis set) of a cluster of 10 separate species, C33H59FO27 in total.

Results
SMILES: COC(=O)OC.COC(=O)OC.COC(=O)OC.COC(=O)OC.COC(=O)OC.COC(=O)OC.COC(=O)OC.COC(=O)OC.COC(=O)OC.Fc1ccccc1
LUMO level in eV: 0.1
Relative energy (zero: lowest compared OMol25 entry of this formula, charge and spin) in kJ/mol: 695.0

CARTESIAN COORDINATES (ANGSTROEM)
C1 0.15100 -6.01264 1.71724
O1 -0.69972 -5.45572 2.71346
C2 -0.45085 -5.29210 3.93733
O2 0.62783 -5.55179 4.50567
O3 -1.59338 -4.83241 4.47697
C3 -1.72698 -4.47198 5.86603
H1 1.10088 -6.41444 2.06992
H2 0.27310 -5.33836 0.86958
H3 -0.38936 -6.84925 1.27429
H4 -1.42889 -3.43065 5.98793
H5 -1.29062 -5.03784 6.68913
H6 -2.77998 -4.40694 6.13999
C4 8.69452 -5.74504 2.28792
O4 9.30382 -7.00066 2.69884
C5 9.99675 -7.14942 3.85728
O5 10.07763 -6.31670 4.86349
O6 10.66886 -8.29187 3.70946
C6 11.47428 -8.81769 4.87574
H7 7.73149 -5.93709 1.81487
H8 9.50540 -5.41392 1.63913
H9 8.53083 -5.03668 3.10003
H10 11.63317 -9.88467 4.71951
H11 10.86177 -8.69792 5.76937
H12 12.49305 -8.46537 5.03725
C7 -0.10878 -4.96026 -7.15060
O7 -1.16631 -4.45494 -6.39786
C8 -1.96128 -3.56383 -6.93225
O8 -1.85429 -3.16005 -8.13161
O9 -2.86399 -3.24117 -6.01978
C9 -3.72640 -2.23326 -6.36483
H13 0.45805 -5.59025 -6.46509
H14 0.59517 -4.20374 -7.49737
H15 -0.37388 -5.53245 -8.03964
H16 -4.55395 -2.15529 -5.65971
H17 -4.05307 -2.16653 -7.40258
H18 -3.06213 -1.37366 -6.27572
C10 -10.33510 -6.93452 4.17617
O10 -10.16885 -6.21594 3.00334
C11 -8.99805 -5.73894 2.74093
O11 -8.02406 -5.73566 3.51962
O12 -8.96815 -5.07477 1.61396
C12 -7.74848 -4.63364 1.01221
H19 -11.35015 -7.27881 4.37427
H20 -9.94964 -6.37605 5.02918
H21 -9.70142 -7.78868 3.93754
H22 -7.73976 -3.59902 0.66931
H23 -7.55269 -5.29952 0.17176
H24 -6.91479 -4.73869 1.70649
C13 -7.19100 6.88635 5.63315
O13 -5.84623 6.72477 6.12487
C14 -4.88327 5.90420 5.68160
O14 -3.78022 5.79712 6.26452
O15 -5.14382 5.34910 4.46632
C15 -4.15968 4.57405 3.84997
H25 -7.46737 6.04436 4.99853
H26 -7.22486 7.81187 5.05837
H27 -7.94419 7.02104 6.40948
H28 -3.35965 5.23445 3.51545
H29 -4.53326 4.17747 2.90590
H30 -3.74613 3.88106 4.58267
C16 -1.31486 6.37895 -3.93683
O16 -0.02003 6.07298 -4.47800
C17 0.16985 5.79552 -5.76438
O17 -0.75077 5.78787 -6.57341
O18 1.43718 5.48583 -5.99591
C18 1.89573 4.72140 -7.11624
H31 -1.28996 7.30001 -3.35448
H32 -1.56439 5.51341 -3.32311
H33 -2.06227 6.57776 -4.70491
H34 1.15821 4.79047 -7.91586
H35 1.93740 3.70449 -6.72606
H36 2.89610 5.02667 -7.42310
C19 11.20093 5.81007 -5.69139
O19 10.83974 4.85089 -4.70721
C20 10.22401 3.80669 -5.17251
O20 9.62963 3.62234 -6.29378
O21 10.24119 2.87054 -4.19588
C21 9.50341 1.62478 -4.34576
H37 10.28336 6.37307 -5.86221
H38 11.63860 5.37116 -6.58801
H39 11.95568 6.48098 -5.28111
H40 8.51585 1.90604 -4.71142
H41 9.38870 1.12191 -3.38551
H42 10.03819 1.10472 -5.14053
C22 4.03774 2.27476 4.41297
O22 4.34350 1.18461 5.24088
C23 4.51902 1.42756 6.55424
O23 4.59779 2.56528 7.05589
=====
Many also are not diagnosed until adulthood, as the common stereotype of someone with ADHD, and the presentation most commonly diagnosed, is a hyperactive young white boy. It was previously commonly believed that ADHD only affected children and that most outgrew it as they aged. However, further studies and research have since found that ADHD commonly persists into adulthood.
There is also increased awareness of the fact that ADHD presents differently in different individuals. For instance, though many of the symptoms can be similar, boys are more likely to present external symptoms, such as hyperactiv ity and impulsivity, while girls are more likely to present internal symptoms, such as inattention. This leads to boys with ADHD receiving more attention and diagnoses than girls.
“Attention Deficit Hyperactivity Dis order” itself, senior Lee Romaker said, “I think the label is definitely based on the symptoms of ADHD that manifest primarily in young boys. And I also think it is based upon the symptoms that are the most disruptive for other people, rather than the symptoms that are most disruptive for the person with ADHD.” ADHD encompasses a range of symptoms beyond the hyperactivity and inattention the name implies. According to Romaker, symptoms such as strug gles with executive function, time blind ness, and rejection sensitivity are overlooked, despite having a “big influence on people with ADHD’s lives.”
For students, this can pose problems for them within the current American school system, including at the university level. Julian Hammond, a senior in the Resumed Education for Adult Learning program at Tufts, emphasized the rigidness of assessments and performance criteria in the American education structure. “You’re tracked and graded and judged on what you’re able to produce, not what you’re able to do,” they said.
This fixation on production can harm students with ADHD, especially if they don’t know why they are struggling with schoolwork. Hammond described having internalized ableist thoughts, such as feeling they were “lazy” or “somebody who doesn’t care enough about things.” This myth of laziness associated with ADHD is an experience many share, existing both internally in their own views of themselves and externally in what others around them may assume. ADHD is also often experienced alongside mental health struggles such as anxiety and depression, further compounding challenges an individual may face and making it more difficult to navigate everyday life.
Junior Tyler Pisinski, co-facilitator of Access Betters the Lives of Everyone, explained that ADHD can affect all aspects of one’s life, despite often being associated with academic struggles. “Though there is more awareness among people our age about ADHD, I think people still think it’s contained to academics when I know in my case it kind of affects multiple areas of my life,” Pisinski said. Xe continued that ADHD affects xyr object permanence and ability to engage with friends.
Hammond emphasized students with disabilities are not the issue; the problem is the overall structures of schools and workplaces that confine people to working in a way that may not be conducive to their learning and growth. Everyone’s brain functions differently. Romaker shared a similar sentiment. “Rather than professors and the university being responsible for creating an accessible school and environment in general, the norm is to create an inaccessible learning environment. And then disabled students have to advocate for exceptions to be made,” they said.
According to a written statement to the Observer from the Student Accessibility and Academic Resources Center office, “Common accommodations [for students with ADHD] include extended time on exams, the ability to test in a distraction reduced space, access to our academic coaching and writing support and extensions on assignments as needed.”
However, in the university setting, it can be challenging to receive effective accommodations for any disability—ADHD included. Hammond found it difficult to obtain such accommodations from the StAAR Center at Tufts, resulting in an added burden of needing to frequently self-advocate. Several students voiced a desire for the StAAR Center to provide more specific information on accommodations, including a list of what accommodations are possible and what students have utilized in the past. Hammond continued that, at Tufts, there is an “unimaginative reliance on precedent. The ultimate response is basically, ‘Well, we can’t do that because it’s never been done before.’”
The StAAR Center office wrote in response to these concerns, “Our work with students is very tailored to their individual needs. Often, we are creating accommodations specific for the student we are working with, which is why you may not see it publicly listed anywhere. Students are always welcome to circle back to us if their access needs are not being met by the specific accommodations provided.”
# 1
# C14H11AuCl2FIN3O5S

A molecular structure, C14H11AuCl2FIN3O5S (ωB97M-V/def2-TZVPD, the Open Molecules 2025 dataset).

ORCA input file:
```
! RIJCOSX wB97M-V def2-TZVPD def2/J DEFGRID3
* xyz -1 1
Au -0.4673 0.3046 -1.4808
I 4.0750 -2.7999 3.8385
Cl -5.4005 0.7158 -1.2677
Cl -0.9479 3.2994 -3.0890
S -2.3664 1.3739 -0.7918
F -0.5710 -1.9212 3.2824
O 1.3062 -0.6743 -1.9450
O 3.8664 0.3953 -0.2615
O 0.3048 -1.3458 1.2661
O 1.2882 -2.8806 -2.4068
O 2.5166 0.7359 3.9882
N -0.3399 0.3247 2.7582
N 2.8779 0.6135 1.7568
N 2.6265 -1.3650 0.5183
C 2.0657 -2.0837 4.0309
C -5.2361 2.0589 -3.5669
C 2.7632 -2.1218 -0.7231
C 2.4094 0.1351 2.9412
C 0.1861 -0.9540 2.5865
C 1.6421 -1.8983 -1.7758
C -3.2758 3.1655 -4.3638
C 3.1514 -0.1041 0.5725
C 1.6715 -1.8152 1.4573
C -4.5353 1.6480 -2.4464
C -3.1732 1.9455 -2.2439
C -4.6011 2.8122 -4.5366
C -2.5827 2.7518 -3.2378
C 1.7045 -1.2041 2.8646
H 2.8173 -3.1796 -0.4748
H -0.5850 0.5178 3.7193
H -2.7649 3.7801 -5.0926
H 2.0291 -1.5182 4.9564
H -1.1216 0.5093 2.1392
H 1.4276 -2.9574 4.0867
H 3.2959 1.5322 1.7740
H -6.2763 1.7804 -3.6679
H 3.6917 -1.8023 -1.1929
H -5.1405 3.1316 -5.4187
H 1.6683 -2.9058 1.4467
*
```

Values from the calculation:
Frontier orbital gap (eV): 6.94
Total energy (eV): -79800.047
LUMO level (eV): 1.99

=====

# 2
# C14H11Br2HgN5

A molecular structure, C14H11Br2HgN5 (ωB97M-V/def2-TZVPD, the Open Molecules 2025 dataset).

ORCA input file:
```
! RIJCOSX wB97M-V def2-TZVPD def2/J DEFGRID3
* xyz 1 2
Hg -2.2712 0.5745 0.3941
Br 3.8021 -0.3110 3.9469
Br -0.3591 -6.1665 1.0702
N -1.3781 -1.7276 0.2569
N -1.2092 2.0278 -1.2483
N 0.0748 3.6214 -3.0973
N -0.0181 0.3257 1.4225
N 1.6944 2.0193 -3.3931
C -2.0947 -2.7028 -0.3011
C 0.4286 -0.9122 1.6571
C 1.5753 -1.1342 2.4078
C -1.7036 3.2273 -1.5683
C -0.1003 1.6119 -1.8317
C -0.7774 -4.3725 0.7318
C -1.8341 -4.0444 -0.1004
C 2.2552 -0.0432 2.9247
C 1.7923 1.2390 2.6795
C -1.0392 4.0118 -2.4944
C -0.0267 -3.3672 1.3202
C 0.6474 1.3675 1.9170
C -0.3542 -2.0442 1.0581
C 0.5560 2.4194 -2.7829
H 2.3038 2.1079 3.0663
H 0.2478 2.3482 1.6874
H 0.2856 0.6387 -1.5499
H -2.6168 3.5457 -1.0873
H -1.4213 4.9900 -2.7597
H -2.4400 -4.8037 -0.5721
H 1.9532 -2.1277 2.5891
H 2.0640 1.0959 -3.2713
H -2.9142 -2.3958 -0.9389
H 0.7912 -3.6302 1.9716
H 2.0865 2.6113 -4.1044
*
```

Values from the calculation:
Frontier orbital gap (spin up / spin down) (eV): 7.49 / 6.97
<S²>: 0.753
Total energy (eV): -166400.778
LUMO level (spin up / spin down) (eV): -3.60 / -4.78

=====

# 3
# C14H11BrN2O4

C14H11BrN2O4 in the gas phase (ωB97M-V/def2-TZVPD, the Open Molecules 2025 dataset).

ORCA input file:
```
! RIJCOSX wB97M-V def2-TZVPD def2/J DEFGRID3
* xyz 0 1
Br 4.2208 2.4232 -1.2107
O 1.7521 3.0766 0.1686
O 0.2160 -4.0264 -1.3671
O -2.6679 0.8691 1.6069
O -2.1751 -3.9326 0.2263
N -1.1469 3.2563 1.2794
N -0.8960 2.0362 0.7478
C 2.9908 3.4830 -0.2810
C 0.0035 -0.4473 -0.5294
C -1.1776 -0.4017 0.2793
C -0.2235 4.1984 1.3266
C 1.1588 4.1340 0.7729
C -1.6401 0.8798 0.9379
The fact that many people—particularly those from underdiagnosed populations—are not diagnosed or do not realize they have ADHD until adulthood creates barriers for those seeking accommodations as well. Many hurdles exist to receiving a formal clinical diagnosis, including long waiting lists and insufficient health insurance.
____________
Entry 1:
____________
For Romaker, a reliance on out-ofstate health insurance has imposed another obstacle. “Because I have an Ohio-based health insurance, I can really only get tested and diagnosed with ADHD in Ohio,” Romaker said. “I limit my time in Ohio because it’s dangerous for me to live there as a transgender person. And so I don’t really have access to an ADHD diagnostic test.” They explained that, without a diagnosis, it is more difficult for them to receive needed accommodations.
The inability to receive a formal diagnosis can also be harmful to one’s selfimage. Hammond described how they felt a kind of “imposter syndrome” and selfjudgment, finding themselves wondering, “Am I just not good at doing work?”
However, even when one is diagnosed, the label of ADHD does not necessarily encompass the whole picture. “I wonder about the utility of defining a certain way of being with a word in the first place because it’s just one of potentially infinite variations of neurotypes, of the ways people’s brains operate,” Hammond said. “It’s almost like naming it and classifying it and putting it in the DSM and everything, again almost feels like it puts the onus on us, and not on the collective ‘we’ to change our ways in order to accommodate more people in general.”
Tufts students are currently advocating for a Disability Center to be established, hoping that it will mitigate the challenges disabled and neurodivergent students face in seeking accommodations and other support on campus. According to the studentcreated petition calling for the Center’s establishment, the Center would “provide a space for disabled students to communicate, engage, and find support within their experiences.” This would be one way of working towards a more accessible and supportive campus and college experience for disabled students.
On Tufts campus and beyond, there is a continued need for increased disability advocacy, awareness, and accurate information about ADHD. Hammond said, “The more people are vocal about something, the less that people who don’t experience it can ignore it or claim ignorance about it.” O